**Exercise**
Type out everything further down verbatim.

**Data**
'''
Here is a geometry-optimized K6Ba2CaU6O24 structure from the Materials Project database. Energies are from PBE.

Cell lengths 7.556, 7.556, 24.683 Å; angles 90.00, 90.00, 109.48 degrees
Fractional coordinates of all 78 atoms:
O 0.387 0.613 0.944
O 0.621 0.379 0.435
U 0.500 0.500 0.500
O 0.397 0.603 0.305
O 0.604 0.396 0.557
O 0.976 0.476 0.875
O 0.250 0.250 0.748
K 0.250 0.250 0.876
Ba 0.750 0.750 0.626
U 0.500 0.500 0.752
O 0.613 0.387 0.056
Ca 0.750 0.250 0.125
O 0.618 0.382 0.314
K 0.000 0.500 0.500
O 0.386 0.614 0.808
O 0.032 0.532 0.625
K 0.750 0.750 0.876
O 0.873 0.127 0.814
O 0.376 0.624 0.062
U 0.750 0.250 0.876
Ba 0.250 0.250 0.374
U 0.000 0.000 0.500
U 0.500 0.500 0.000
U 0.250 0.750 0.124
U 0.500 0.500 0.248
O 0.373 0.627 0.186
O 0.114 0.886 0.808
O 0.968 0.468 0.375
O 0.886 0.114 0.192
K 0.995 0.495 0.749
O 0.750 0.750 0.252
O 0.382 0.618 0.686
O 0.882 0.118 0.314
O 0.876 0.124 0.938
O 0.121 0.879 0.565
K 0.750 0.750 0.124
O 0.104 0.896 0.443
K 0.000 0.500 0.000
O 0.750 0.750 0.000
O 0.124 0.876 0.062
O 0.897 0.103 0.695
O 0.614 0.386 0.192
O 0.896 0.104 0.557
O 0.379 0.621 0.565
K 0.500 0.000 0.500
U 0.000 0.000 0.000
O 0.750 0.750 0.500
O 0.879 0.121 0.435
O 0.113 0.887 0.944
Ba 0.750 0.750 0.374
O 0.624 0.376 0.938
O 0.887 0.113 0.056
O 0.103 0.897 0.305
K 0.005 0.505 0.251
O 0.250 0.250 0.252
U 0.250 0.750 0.626
O 0.250 0.250 0.000
U 0.750 0.250 0.374
O 0.532 0.032 0.375
O 0.524 0.024 0.875
K 0.500 0.000 0.000
U 0.000 0.000 0.248
K 0.505 0.005 0.749
K 0.495 0.995 0.251
O 0.396 0.604 0.443
O 0.476 0.976 0.125
O 0.603 0.397 0.695
O 0.024 0.524 0.125
O 0.250 0.250 0.500
Ca 0.250 0.750 0.875
O 0.468 0.968 0.625
O 0.118 0.882 0.686
O 0.127 0.873 0.186
O 0.627 0.373 0.814
Ba 0.250 0.250 0.626
K 0.250 0.250 0.124
U 0.000 0.000 0.752
O 0.750 0.750 0.748

- Density: 5.90 g/cm3
'''

**Written answer**
Here is a geometry-optimized K6Ba2CaU6O24 structure from the Materials Project database. Energies are from PBE.

Cell lengths 7.556, 7.556, 24.683 Å; angles 90.00, 90.00, 109.48 degrees
Fractional coordinates of all 78 atoms:
O 0.387 0.613 0.944
O 0.621 0.379 0.435
U 0.500 0.500 0.500
O 0.397 0.603 0.305
O 0.604 0.396 0.557
O 0.976 0.476 0.875
O 0.250 0.250 0.748
K 0.250 0.250 0.876
Ba 0.750 0.750 0.626
U 0.500 0.500 0.752
O 0.613 0.387 0.056
Ca 0.750 0.250 0.125
O 0.618 0.382 0.314
K 0.000 0.500 0.500
O 0.386 0.614 0.808
O 0.032 0.532 0.625
K 0.750 0.750 0.876
O 0.873 0.127 0.814
O 0.376 0.624 0.062
U 0.750 0.250 0.876
Ba 0.250 0.250 0.374
U 0.000 0.000 0.500
U 0.500 0.500 0.000
U 0.250 0.750 0.124
U 0.500 0.500 0.248
O 0.373 0.627 0.186
O 0.114 0.886 0.808
O 0.968 0.468 0.375
O 0.886 0.114 0.192
K 0.995 0.495 0.749
O 0.750 0.750 0.252
O 0.382 0.618 0.686
O 0.882 0.118 0.314
O 0.876 0.124 0.938
O 0.121 0.879 0.565
K 0.750 0.750 0.124
O 0.104 0.896 0.443
K 0.000 0.500 0.000
O 0.750 0.750 0.000
O 0.124 0.876 0.062
O 0.897 0.103 0.695
O 0.614 0.386 0.192
O 0.896 0.104 0.557
O 0.379 0.621 0.565
K 0.500 0.000 0.500
U 0.000 0.000 0.000
O 0.750 0.750 0.500
O 0.879 0.121 0.435
O 0.113 0.887 0.944
Ba 0.750 0.750 0.374
O 0.624 0.376 0.938
O 0.887 0.113 0.056
O 0.103 0.897 0.305
K 0.005 0.505 0.251
O 0.250 0.250 0.252
U 0.250 0.750 0.626
O 0.250 0.250 0.000
U 0.750 0.250 0.374
O 0.532 0.032 0.375
O 0.524 0.024 0.875
K 0.500 0.000 0.000
U 0.000 0.000 0.248
K 0.505 0.005 0.749
K 0.495 0.995 0.251
O 0.396 0.604 0.443
O 0.476 0.976 0.125
O 0.603 0.397 0.695
O 0.024 0.524 0.125
O 0.250 0.250 0.500
Ca 0.250 0.750 0.875
O 0.468 0.968 0.625
O 0.118 0.882 0.686
O 0.127 0.873 0.186
O 0.627 0.373 0.814
Ba 0.250 0.250 0.626
K 0.250 0.250 0.124
U 0.000 0.000 0.752
O 0.750 0.750 0.748

- Density: 5.90 g/cm3